Business Intelligence: Power to gain competitive advantage
These records of crystals were left in the text by mistake:
-- begin --
1.
A geometry-optimized Ho4Al12Os structure, computed with PBE.

abc: 7.4735 7.4735 7.4735
angles: 109.47 109.47 109.47
Closest atoms and distances in Å follow each position.
Fractional positions:
Al 0.2500 0.5000 0.7500  8 Al 2.83-3.05, 4 Ho 3.05
Al 0.2874 0.0000 0.2874  1 Os 2.48
Al 0.7500 0.5000 0.2500  8 Al 2.83-3.05, 4 Ho 3.05
Al 0.5000 0.7500 0.2500  8 Al 2.83-3.05, 4 Ho 3.05
Al 0.7126 0.7126 0.0000  1 Os 2.48
Al 0.2874 0.2874 0.0000  1 Os 2.48
Al 0.7126 0.0000 0.7126  1 Os 2.48
Al 0.0000 0.7126 0.7126  1 Os 2.48
Al 0.0000 0.2874 0.2874  1 Os 2.48
Al 0.5000 0.2500 0.7500  8 Al 2.83-3.05, 4 Ho 3.05
Al 0.2500 0.7500 0.5000  8 Al 2.83-3.05, 4 Ho 3.05
Al 0.7500 0.2500 0.5000  8 Al 2.83-3.05, 4 Ho 3.05
Ho 0.0000 0.5000 0.0000  12 Al 3.05-3.07
Ho 0.5000 0.5000 0.5000  12 Al 3.05-3.07
Ho 0.5000 0.0000 0.0000  12 Al 3.05-3.07
Ho 0.0000 0.0000 0.5000  12 Al 3.05-3.07
Os 0.0000 0.0000 0.0000  6 Al 2.48

Computed properties:
For the electronic total energy, the calculation gives -4.84 eV per atom. The density of states at the Fermi level comes out at 13.930 states/eV per cell. For the magnetic moment, the calculation gives 0.00 Bohr magnetons per cell.

2.
A geometry-optimized Ho6Al2Os structure, computed with PBE.

abc: 4.9932 7.0499 8.4956
angles: 114.51 107.08 90.00
Closest atoms and distances in Å follow each position.
Fractional positions:
Ho 0.8434 0.6003 0.6866  1 Os 2.86, 3 Al 3.09
Ho 0.8434 0.0863 0.6866  1 Os 2.86, 3 Al 3.09
Ho 0.1566 0.9137 0.3134  1 Os 2.86, 3 Al 3.09
Ho 0.1566 0.3997 0.3134  1 Os 2.86, 3 Al 3.09
Ho 0.5000 0.2319 0.0000  2 Os 2.98, 2 Al 3.09, 1 Ho 3.27
Ho 0.5000 0.7681 0.0000  2 Os 2.98, 2 Al 3.09, 1 Ho 3.27
Al 0.3326 0.3325 0.6650  8 Ho 3.09
Al 0.6674 0.6675 0.3350  8 Ho 3.09
Os 0.0000 0.0000 0.0000  8 Ho 2.86-2.98

Computed properties:
For the electronic total energy, the calculation gives -5.23 eV per atom. The density of states at the Fermi level comes out at 8.640 states/eV per cell. For the magnetic moment, the calculation gives 0.00 Bohr magnetons per cell.

3.
A geometry-optimized HoAl4Os structure, computed with PBE.

abc: 4.1186 6.8824 7.7762
angles: 90.00 90.00 90.00
Closest atoms and distances in Å follow each position.
Fractional positions:
Al 0.5000 0.6864 0.0668  2 Os 2.62, 3 Al 2.77-2.85
Al 0.0000 0.0000 0.5000  2 Os 2.39
Al 0.5000 0.0406 0.2500  2 Os 2.65, 6 Al 2.82-2.85
Al 0.5000 0.9594 0.7500  2 Os 2.65, 6 Al 2.82-2.85
Al 0.0000 0.0000 0.0000  2 Os 2.39
Al 0.5000 0.6864 0.4332  2 Os 2.62, 3 Al 2.77-2.85
Al 0.5000 0.3136 0.5668  2 Os 2.62, 3 Al 2.77-2.85
Al 0.5000 0.3136 0.9332  2 Os 2.62, 3 Al 2.77-2.85
Ho 0.0000 0.6239 0.7500  1 Os 2.91, 8 Al 3.09-3.24
Ho 0.0000 0.3761 0.2500  1 Os 2.91, 8 Al 3.09-3.24
Os 0.0000 0.7982 0.2500  8 Al 2.39-2.65
Os 0.0000 0.2018 0.7500  8 Al 2.39-2.65

Computed properties:
-- stop --
Back to the text:
WITH THE DEVELOPMENT of Business Intelligence technology companies of all sectors are increasingly depending on different Business Intelligence tools and software for better information management. Making the right decision for your company requires better analysis of the available data but discovering the right knowledge among those tides of information flow is the key behind the success of every corporation. In this age of information and technology, it is obvious to gather infinite number of information from various sources thereby making data warehouses essential for managing and better future planning on the basis of information. Here Business Intelligence (BI) provides solution for strategic decision-making.
........
# 1
# Pr2SmTmSe4 PBE relaxed
data_Pr2SmTmSe4
_cell_length_a 7.1901
_cell_length_b 4.1059
_cell_length_c 7.3937
_cell_angle_alpha 90.00
_cell_angle_beta 108.55
_cell_angle_gamma 90.00
_symmetry_space_group_name_H-M 'P 1 2/m 1'
_symmetry_Int_Tables_number 10
loop_
_symmetry_equiv_pos_as_xyz
'x,y,z'
'-x,-y,-z'
'-x,y,-z'
'x,-y,z'
loop_
_atom_site_label
_atom_site_type_symbol
_atom_site_fract_x
_atom_site_fract_y
_atom_site_fract_z
_atom_site_occupancy
Pr1 Pr 0.0000 0.0000 0.0000 1
Pr2 Pr 0.5000 0.5000 0.0000 1
Sm1 Sm 0.0000 0.5000 0.5000 1
Tm1 Tm 0.5000 0.0000 0.5000 1
Se1 Se 0.2525 0.0000 0.7361 1
Se2 Se 0.2636 0.5000 0.2688 1
# Formation energy (no corrections) in eV per atom: -1.7936
# VASP energy in eV/atom: -5.880

# 2
# LiPbAu4 PBE relaxed
data_LiPbAu4
_cell_length_a 3.9117
_cell_length_b 3.9117
_cell_length_c 8.6220
_cell_angle_alpha 90.00
_cell_angle_beta 90.00
_cell_angle_gamma 90.00
_symmetry_space_group_name_H-M 'P 4/m m m'
_symmetry_Int_Tables_number 123
_symmetry_space_group_name_Hall '-P 4 2'
loop_
_atom_site_label
_atom_site_type_symbol
_atom_site_fract_x
_atom_site_fract_y
_atom_site_fract_z
_atom_site_occupancy
Li1 Li 0.0000 0.0000 0.0000 1
Pb1 Pb 0.5000 0.5000 0.5000 1
Au1 Au 0.0000 0.5000 0.2187 1
# VASP energy in eV/atom: -3.236
# Energy above the most stable polymorph in this dataset in kJ/mol of atoms: 5.4

# 3
# Cs4Ac3VS8 PBE relaxed
data_Cs4Ac3VS8
_cell_length_a 8.6117
_cell_length_b 8.6117
_cell_length_c 24.2973
_cell_angle_alpha 90.00
_cell_angle_beta 90.00
_cell_angle_gamma 120.00
_symmetry_space_group_name_H-M 'R -3 m'
_symmetry_Int_Tables_number 166
_symmetry_space_group_name_Hall '-R 3 2"'
loop_
_atom_site_label
_atom_site_type_symbol
_atom_site_fract_x
_atom_site_fract_y
_atom_site_fract_z
_atom_site_occupancy
Cs1 Cs 0.0000 0.0000 0.0000 1
Cs2 Cs 0.0000 0.5000 0.0000 1
Ac1 Ac 0.0000 0.5000 0.5000 1
V1 V 0.0000 0.0000 0.5000 1
S1 S 0.0000 0.0000 0.2330 1
S2 S 0.0367 0.5184 0.2264 1
# Formation energy (no corrections) in eV per atom: -1.5423
# VASP energy in eV/atom: -5.160

# 4
# SrNi2Hg PBE relaxed
data_SrNi2Hg
_cell_length_a 4.6606
_cell_length_b 4.6606
_cell_length_c 17.8514
_cell_angle_alpha 90.00
_cell_angle_beta 90.00
_cell_angle_gamma 90.00
_symmetry_space_group_name_H-M 'I -4 2 d'
_symmetry_Int_Tables_number 122
_symmetry_space_group_name_Hall 'I -4 2bw'
loop_
_atom_site_label
_atom_site_type_symbol
_atom_site_fract_x
_atom_site_fract_y
_atom_site_fract_z
_atom_site_occupancy
Sr1 Sr 0.0000 0.0000 0.0000 1
Ni1 Ni 0.0444 0.2500 0.6250 1
Hg1 Hg 0.0000 0.0000 0.5000 1
# VASP energy in eV/atom: -3.278

# 5
# TaCr2Br PBE relaxed
data_TaCr2Br
_cell_length_a 9.5413
_cell_length_b 3.0790
_cell_length_c 4.4869
_cell_angle_alpha 90.00
_cell_angle_beta 96.57
_cell_angle_gamma 90.00
_symmetry_space_group_name_H-M 'C 1 m 1'
_symmetry_Int_Tables_number 8
loop_
_symmetry_equiv_pos_as_xyz
'x,y,z'
'x,-y,z'
'x+1/2,y+1/2,z'
'x+1/2,-y+1/2,z'
loop_
_atom_site_label
_atom_site_type_symbol
_atom_site_fract_x
_atom_site_fract_y
........
In case of data warehousing information are only stored without any principal aim of exploring knowledge but Business Intelligence with all its technological tools categorizes, compares and analyzes information and then applies those in making decision. It is also comprehensive than data mining that deals with searching particular pattern from a large volume of data by using number of techniques like statistics, computer science, pattern recognition technique etc. BI is a combination of similar technologies and shows information in its real value that can be used and shared by many people.
Though information can be obtained from various sources but that must be relevant, updated, trusted and easy to use. There are different business intelligence tools used for different purposes. The tool used for reporting delivers timely and updated information for queries with context. OLAP or Online Analytical Processing enables one to answer queries with different dimensions by relating or comparing different complex data with similar context. Score carding makes you get a clear view your progress report that is easy to understand for making further progress.
All the mentioned BI tools together offers a clear view of the progress report of your organization by exploring more knowledge and value from the information that are useful for decision making. Without good knowledge a business cannot succeed overnight and with this technology any corporation can make a general frame for decisions in the entire organization. A successful business organization can be defined by how intelligently it manages business data. Hence, BI is now increasingly used in various industries including healthcare, pharmaceutical, manufacturing, insurance, financial service and telecommunication.